Biographical Sketch of William R. Boothe

WILLIAM R. BOOTHE. – This gentleman, a conspicuous figure in Eastern Oregon, was born in Missouri in 1846. He was raised on a farm, and received a fair education. At the age of eighteen, he crossed the plains to Grande Ronde valley with his father, the Reverend L.J. Boothe. For three years after his arrival, he was engaged in freighting. In 1868, he purchased a homestead right in The Cove and engaged in stock raising and farming, where he still resides and now owns nine hundred and twenty acres of land, of which three hundred and sixty are in one … Read more

Biographical Sketch of Jeremiah W. Borst

JEREMIAH W. BORST. – The subject of this sketch was born in Tyoga county, New York, in 1829. At the age of four years, he removed with his father’s family to Indiana, and was reared on a farm. The days of his youth were spent in Missouri, with a return to the Hoosier State. In 1850, he crossed the plains with ox-teams for the gold fields of California, and dug for the precious metal five years. In 1858, he came north to Washington Territory, finding a home on Snoqualmie Prairie, since famous as the location of the great ranch of … Read more

Biography of Hon. Charles Miner Bradshaw

HON. CHARLES MINER BRADSHAW. – The present efficient collector of customs of the Puget Sound district, a portrait of whom appears in this work, is a gentleman who has worked his way from the lowest rung of the ladder until he now stands at the front rank in his chosen profession, as well as having acquired a recognized position among the men who lead public opinion and form institutions and states. Mr. Bradshaw was born in Bridgewater, Susquehanna county, Pennsylvania, August 9, 1831, – the son of Salmon and Sarah F. Schurz Bradshaw, and is a lineal descendant of John … Read more

Biography of Col. John Colgate Bell

COL. JOHN COLGATE BELL. – Colonel Bell, enjoying a wide reputation from Southern Oregon to Idaho, and back again to the Pacific seashore throughout the state in which he has successively lived and made a multitude of personal acquaintances, merits a special recognition on account of his public services in official relations and in the early Indian wars of Southern Oregon. He was born at Sterling, Kentucky, February 24, 1814. His parents were from Virginia; and among his ancestors were those distinguished in the early history of the nation, his father having served with General Harrison in the war of … Read more

Biography of Hon. James Abner Bennett

HON. JAMES ABNER BENNETT. – Our subject was born in Bracken county, Kentucky, on March 17,1808. His birthplace was a farm; and here he remained with his parents until 1830, when he moved to Boone county. He resided here for three years, and then removed to Jackson county, Missouri, near the town of Independence, and in 1839 again removed to Platt county. The following year, 1840, he was married to Miss Louisa E.R. Bane, of Weston, Missouri. Here Mr. Bennett remained, following blacksmithing and conducting a livery stable. He also acted as justice of the peace until the year 1842. … Read more

Biography of Nelson Bennett

NELSON BENNETT. – Though Toronto, Canada, must be accredited as the birthplace of the distinguished personage whose name heads this brief sketch of a most active, useful and busy life, yet were his parentage and ancestry thoroughly American. On the paternal side the Bennetts were natives of Virginia, three generations back; and his mother was of the ancient and time-honored family of the Spragues of Massachusetts and Rhode Island. He was born October 14,1843; and his father died when he was seven years of age, leaving a widow and six children. The family resided upon a farm; and Nelson was … Read more

Biographical Sketch of William M. Blakeley

WILLIAM M. BLAKELEY. – The subject of this sketch, a prominent citizen of the rapidly developing upper country, was born in Missouri in 1840. In 1846 he crossed the plains with his father, who located near the present site of Brownsville, Linn county, Oregon, where he still resides. Mr. Blakely was here favored with the educational advantages afforded by the public school, and assisted his father on the farm until 1860, when he moved to a point near the present site of Prescott, on the lovely Touchet river, in Washington Territory. In the spring of 1861 he tried his fortune … Read more

Biography of J. R. Bayley, M.D.

J.R. BAYLEY, M.D. – Doctor Bayley, to whom has fallen an unusual portion of public labor and honor, was born in Springfield, Ohio, in 1820. His mother dying, he was cared for by his grandmother, through whose liberality he received an ample education. In 1839 he moved to Clay county, Missouri, but two years later returned to Ohio, and in 1847 began the study of medicine in South Charleston with Doctors Skinner and Steele. He also attended the medical school at Cleveland in 1849, and the next year studied at the Ohio Medical College of Cincinnati. Upon graduating from this … Read more

Biography of William J. Hill

William J. Hill has one of the responsible positions connected with the Santa Fe Railway at Arkansas City. He is master mechanic at that division headquarters and handles the large force of men employed in the immense yards and shops of the railroad at that point. Mr. Hill had been long in the railroad service in the mechanical department, beginning when a boy with the Chicago & Alton in Illinois. He was born at Bloomington, Illinois, August 20, 1863. His father was William Hill, a native of London, England, where he was born in 1834. He spent his early life … Read more

Biography of Hon. William R. Downey

HON. WILLIAM R. DOWNEY. – There are few men who are more familiarly and favorably known to the old pioneers of Puget Sound than the gentleman whose name heads this sketch. His father was a Revolutionary hero, having followed General Washington in the battles waged by the colonists for freedom from the oppression of Great Britain. Mr. Downey was born in Mount Sterling, Kentucky, March 6, 1808. At the age of three years he accompanied his parents to Hopkins county, and while living there received his education. On February 12, 1829, he was united in marriage to Miss Emily S. … Read more

Biography of William D. Green

William D. Green has for thirty years been one of the substantial business men of Holton and he represents a family that were among the very earliest settlers of Jackson County. Mr. Green was for a long time a merchant but for years had been looked upon as a reliable real estate man in his city. A native of Jackson County, Kansas, where he was born January 22, 1863, he is a son of Simpson and Matilda (Roach) Green, both of whom were natives of Kentucky. They came to Kansas in the spring of 1857, locating in Straight Creek Township … Read more

Biography of Col. Walter Crockett, Sr.

COL. WALTER CROCKETT, SR. – The lineal representatives of many of the distinguished families of the Atlantic states have become the builders of our own communities. Such was Colonel Crockett, who was in the line of the old Virginia family that went out West to settle in the early days of Braddock’s war. The father, Colonel Hugh, was of Norman-Irish descent, and earned his rank in the Revolutionary war. His mother, Rebecca Larton, was a Knickerbocker, born at Jersey City, New Jersey. It was near Shawsville on the upper Roanoke, whither the Colonel had gone to settle, that his son, … Read more

Biography of Capt. James J. Crow

CAPT. JAMES J. CROW. – Mr. Crow, a portrait of whom will be found in this work, is one of the early pioneers of Oregon, as well as one of the early and substantial residents on White river. He was born in Lincoln county, Missouri, April 5, 1842, and is the son of George and Mary E. (Howdeshell) Crow, both of whom were pioneers of the above state. In the summer of 1848 his parents, with their family of five children, started to cross the plains to Oregon; but, on reaching the Missouri river, it then being late in the … Read more

Biography of Hon. George A. Neeley

Hon. George A. Neeley, of Hutchinson, is one of the younger men of Kansas, but had already gained distinction both in the law and business and as a valiant fighter for the cause of advanced principles in public affairs. Mr. Neeley came into special prominence not only in Kansas but over the nation during his two terms as congressman from the “Big Seventh” district. He was elected on the democratic ticket. In 1910 he was a candidate for the office against the redoubtable E. H. Madison. Madison was elected, but died in September, 1911, before finishing his term. At a … Read more

Crystal structures, as found in the file:
<<<
Entry from Alexandria via LeMat-Bulk: a relaxed structure of SrCa3Ni (GGA-PBE).

Output
E above lowest polymorph ... 18 meV/atom
Energy of formation from the pure elements ... -0.04 eV per atom
Symmetry ... No. 2

POSCAR file:
```
SrCa3Ni
1.0
7.733 0.033 0.111
-1.582 7.922 -0.011
-0.600 4.231 5.963
Ca Sr Ni
6 2 2
Direct
0.925 0.615 0.762 Ca
0.013 0.547 0.324 Ca
0.410 0.620 0.870 Ca
0.498 0.551 0.433 Ca
0.308 0.037 0.917 Ca
0.115 0.130 0.278 Ca
0.598 0.112 0.324 Sr
0.825 0.055 0.870 Sr
0.258 0.766 0.444 Ni
0.165 0.401 0.750 Ni
```


Entry 1:
The following is a DFT calculation (GGA-PBE) of a relaxed RbTl2SnI6 crystal.

Summary:
- crystal system = triclinic
- symmetry = No. 1
- total magnetic moment (μB per cell) = 0.00
- ΔE_f (raw) (eV per atom) = -0.68

Lattice parameters (Å, degrees): 8.7091 8.7070 9.1184 61.44 61.43 59.95
Last column: nearest neighbours and their distance in Å.
Atoms (fractional coordinates):
Rb: 0.8162 0.8163 0.5513  6 I 3.64-3.83
Tl: 0.5217 0.5215 0.4351  6 I 3.50-3.52
Tl: 0.0071 0.0071 0.9788  6 I 3.48-3.61
Sn: 0.3275 0.3274 0.0178  6 I 3.06-3.07
I: 0.5526 0.2408 0.2402  1 Sn 3.06
I: 0.2406 0.9663 0.2402  1 Sn 3.06
I: 0.9663 0.5530 0.2402  1 Sn 3.06
I: 0.3986 0.6944 0.7703  1 Sn 3.07
I: 0.6946 0.1362 0.7707  1 Sn 3.07
I: 0.1365 0.3987 0.7708  1 Sn 3.07

=====

Entry 2:
The following is a DFT calculation (GGA-PBE) of a relaxed Rb2TlSnI6 crystal.

Summary:
- excess energy over the best structure of this formula in the dataset (meV/atom) = 0
- crystal system = monoclinic
- symmetry = No. 14
- total magnetic moment (μB per cell) = 0.00
- ΔE_f (raw) (eV per atom) = -0.88

Lattice parameters (Å, degrees): 8.5188 9.0240 12.3208 90.00 90.12 90.00
Last column: nearest neighbours and their distance in Å.
Atoms (fractional coordinates):
Rb: 0.0286 0.9185 0.2482  6 I 3.75-3.97
Rb: 0.5286 0.5815 0.7482  6 I 3.75-3.97
Rb: 0.9714 0.0815 0.7518  6 I 3.75-3.97
Rb: 0.4714 0.4185 0.2518  6 I 3.75-3.97
Tl: 0.5000 0.0000 0.0000  6 I 3.35-3.41
Tl: 0.0000 0.5000 0.5000  6 I 3.35-3.41
Sn: 0.5000 0.0000 0.5000  6 I 3.05-3.07
Sn: 0.0000 0.5000 0.0000  6 I 3.05-3.07
I: 0.2930 0.6843 0.0509  1 Sn 3.06, 1 Tl 3.41
I: 0.7930 0.8157 0.5509  1 Sn 3.06, 1 Tl 3.41
I: 0.7070 0.3157 0.9491  1 Sn 3.06, 1 Tl 3.41
I: 0.2070 0.1843 0.4491  1 Sn 3.06, 1 Tl 3.41
I: 0.3201 0.7124 0.4502  1 Sn 3.07, 1 Tl 3.39
I: 0.8201 0.7876 0.9502  1 Sn 3.07, 1 Tl 3.39
I: 0.6799 0.2876 0.5498  1 Sn 3.07, 1 Tl 3.39
I: 0.1799 0.2124 0.0498  1 Sn 3.07, 1 Tl 3.39
I: 0.9006 0.5210 0.2371  1 Sn 3.05, 1 Tl 3.35
I: 0.4006 0.9790 0.7371  1 Sn 3.05, 1 Tl 3.35
I: 0.0994 0.4790 0.7629  1 Sn 3.05, 1 Tl 3.35
I: 0.5994 0.0210 0.2629  1 Sn 3.05, 1 Tl 3.35

=====

Entry 3:
The following is a DFT calculation (GGA-PBE) of a relaxed Rb3TlSn2I9 crystal.

Summary:
- crystal system = trigonal
- symmetry = No. 164
- total magnetic moment (μB per cell) = 0.00
- ΔE_f (raw) (eV per atom) = -0.87

Lattice parameters (Å, degrees): 8.6892 8.6892 11.5754 90.00 90.00 120.00
>>>

Biography of Will Shackelford Thompson

Will Shackelford Thompson has as much as any other citizen during the past twenty years identified himself with those activities which spell the vital and pulsing commercial life of the City of Hutchinson. He possesses that quality so much valued in any community of putting himself in line either as a leader or co-operator with movements and enterprises that are considered essential to the general welfare. Mr. Thompson’s main business at Hutchinson had been as an insurance man. The Thompson family seems to have been generally inclined in that line of work, his father and several of his brothers having … Read more

Biography of Claude Lathrop Cole

Claude Lathrop Cole, principal of the Reno County High School at Nickerson, had been identified with educational work and administration in Kansas for the past four years, but his teaching experience covers almost twenty years and in a number of the Middle Western states. Wherever he had been it had been the testimony that Mr. Cole had been successful in giving vitality and increased efficiency to the schools under his direction, and such had been the character of his work that he deserves the name educator as an appropriate means of distinguishing him from one who merely teaches or administers … Read more

Biography of Byron Jennings Carver

Byron Jennings Carver, who served as county attorney for Miami County from 1913 to 1917, had not only proved his ability on many occasions as an able lawyer, but also as a forceful man of affairs and one who is willing to fight for his convictions and his position as to right. Mr. Carver had a hard struggle to get into the legal profession, being a poor young man and having to teach and struggle along at the same time that he was studying and qualifying for the bar. He is a native of Indiana, having been born at Franklin … Read more

Biography of Walter R. Long

Walter R. Long has spent a very busy and influential career in Kingman, where he is the present postmaster. Most of his life had been spent in this county, and when not in public office he was a farmer and business man. Mr. Long was born in Chariton County, Missouri, February 10, 1875. His ancestors were Scotchmen who came to Virginia in colonial days. His father, Gabriel Long, was born in Virginia in 1833. He grew up in his native state, and when a young man removed to Chariton County, Missouri, where he married and where he engaged in farming. … Read more

Biographical Sketch of E. P. McDaniel

E.P. MCDANIEL. – E.P. McDaniel, the junior partner of Cowles and McDaniel, was born in Missouri in 1839, and was raised on his father’s farm. In 1856 he emigrated to Kansas, where he engaged in farming and trading. In 1861 he crossed the plains to Portland, Oregon, and engaged in work at his trade of carpenter. In 1863 he came to Grande Ronde valley, and was engaged in packing, clerking and in the livery business. July 4th, 1865, he was married to Miss Fanny Cowles, and the next spring joined her uncle in conducting the farm, upon which they planted … Read more

Biography of Col. T. R. Cornelius

COL. T.R. CORNELIUS. – In view of the prominent part sustained by Colonel Cornelius in the Indian wars of our early history, as well as in our political history since, it seems best to give at length the interesting picture of his connection with those wars. This is done mainly in his own language, and hence preserves the vividness of his own recollections. T.R. Cornelius was born November 16, 1827, in Howard county, Missouri. At an early age he moved with his parents to Arkansas, and in 1845, then a youth of nineteen, came with them to Oregon. The company … Read more